




Have a class with couple of integers and a pointer ,

 class A {
     int a;
     int b;
     char* s;
      class ConstructA {
           A &a;
           ConstructA (A& ta) : a(ta) {}



As seen ConstructA is responsible for constructing object A. I want to write a method to see if ConstructA was successful in constructing the object a. How would you go about it ?

+7  A: 

Since there is no way for a constructor to fail in C++, an object either:

  • does not exist
  • is successfully constructed.

If a constructor throws an exception, the object effectively does not exist at the point the exception is caught.

You may want to implement an additional method such as isOK() that returns whether or not the internal state of the object represents something useful. For example, if you have an object that represents a file, then you could use isOK() to indicate that the file could be successfully opened. However, as far as C++ is concerned, the file object would be fully constructed whether or not the file could be opened.

Having said that, I'm not entirely sure what the role of the ConstructA class is in your example.

Greg Hewgill

As a general rule, if there is any failure in construction you will get an exception thrown -- either a program-specific exception from the object itself, or else a memory exception or something similar from the runtime.

In this particular case, you are not constructing an object of type A, you are initializing a reference. So there is no construction that has an opportunity to fail.

(Perhaps a little more detail about what you are trying to accomplish would help somebody give a better answer?)


First, your ConstructA class makes no sense at all to me. There really are two cases basically:

  1. The construction of an object fails
  2. The object is left in an defined, but restricted state. Strictly, the construction succeeded, but possibly not the the degree that the caller wished. He can optionally later complete the construction.

1. The construction fails

I'll use your ConstructA in the following code just to make the point of signaling about construction failure:

A a0;
try {
    A::ConstructA a1(a0);
} catch(...) {
    // fail to construct a1

Constructors throw exceptions to signal when their constructions fail. The idea is that if construction of an object fails, then the object is not constructed. In other words, the object does not exist. If you have to initialize a1 in an constructor init list, there is a way too:

struct B {
    B() try : a1(a0) { 
        // other constructor code...
    } catch(...) {
        // fail to construct either a0 or a1, or constructor 
        // code threw
    A a0;
    A::ConstructA a1;

try {
    B b;
} catch(...) {
    // fail to construct B

First, code in the catch block of the constructor is executed, then the exception is automatically propagated to the code that created the B object, and its catch blocks are considered.

Your class ConstructA's constructor could look like this, for example:

-- begin --
DFT (wB97M-V/def2-TZVPD) results for 2 unconnected molecules or ions with the total composition C2H11N2O in a non-equilibrium geometry.

Output
Energy relative to the best compared isomer or geometry (same formula, charge and spin)   11.3 kcal/mol
HOMO-LUMO gap   11.384 eV
Total energy   -267.3067 hartree
Charge   +1
HOMO level   -14.6 eV

Each line ends with the Löwdin charge.
Geometry (Å):
N -0.7149 0.1740 0.3142  0.1379
C -0.4441 1.0661 -0.8073  -0.1567
C 0.4739 0.3472 -1.8273  -0.2158
N 1.3026 -0.6183 -1.0995  0.0020
H -1.3990 0.4962 0.9933  0.1604
H -1.0787 -0.6945 -0.0908  0.1712
H 0.1526 -0.1447 0.7546  0.1270
H -1.3411 1.4616 -1.2808  0.1340
H 0.0182 1.9792 -0.4300  0.1329
H -0.1749 -0.2114 -2.4901  0.1181
H 0.9929 1.1388 -2.3510  0.1209
H 1.4680 -1.4373 -1.6754  0.0884
H 2.2780 -0.3220 -1.0940  0.0942
H 0.0647 -1.0024 3.5763  0.0697
H -1.1621 -1.3952 2.7855  0.0660
O -0.4647 -0.7206 2.8194  -0.0503

DFT (wB97M-V/def2-TZVPD) results for 3 unconnected molecules or ions with the total composition C2H11N2O2.

Output
Energy relative to the best compared isomer or geometry (same formula, charge and spin)   8.5 kcal/mol
HOMO-LUMO gap   11.815 eV
Total energy   -342.5749 hartree
Charge   +1
HOMO level   -14.8 eV

Each line ends with the Löwdin charge.
Geometry (Å):
C -0.1023 0.4612 1.9635  -0.0169
N 0.6987 -0.9633 -1.3024  0.1985
C 0.3302 -0.7652 -0.0519  -0.1543
N 0.4660 0.3446 0.6152  0.0339
H -0.3021 1.5168 2.1410  0.1017
H -1.0676 -0.0303 2.0412  0.0854
H 0.6060 0.1129 2.7065  0.0979
H 1.4183 -0.3640 -1.6760  0.1027
H 0.3927 -1.8108 -1.7483  0.1355
H -0.2378 -1.5530 0.4256  0.1500
H 0.7809 1.1833 0.1490  0.1257
H -3.3405 -1.8792 -0.5665  0.0494
H -3.0427 -1.1894 0.7574  0.0371
O -2.8328 -1.1606 -0.1801  -0.0515
H 1.5691 2.6203 -1.7895  0.0645
H 2.7755 1.7243 -1.9328  0.0748
O 1.8884 1.7523 -1.5519  -0.0345

DFT (wB97M-V/def2-TZVPD) results for 3 unconnected molecules or ions with the total composition C2H11N2O2 in a non-equilibrium geometry.

Output
Energy relative to the best compared isomer or geometry (same formula, charge and spin)   61.8 kcal/mol
HOMO-LUMO gap   9.271 eV
Total energy   -342.4900 hartree
Charge   +1
HOMO level   -12.3 eV

Each line ends with the Löwdin charge.
Geometry (Å):
C -0.2237 -0.6037 0.4089  -0.1939
C -0.4332 0.1036 -0.7336  -0.0864
N 0.1785 -0.5652 -1.9536  0.1495
N -1.0295 -0.7401 1.4950  0.1051
H 0.6558 -1.2767 0.4255  0.1280
H -0.4448 1.1729 -0.8935  0.1143
H 0.1970 -1.5795 -1.9575  0.1589
H 1.0501 -0.0883 -2.2391  0.1085
H -0.4961 -0.2801 -2.6622  0.1539
H -2.0093 -0.8630 1.2857  0.1174
H -0.5800 -0.7901 2.4081  0.0720
H -0.2277 -0.0691 4.8861  0.0615
H -1.5812 0.4597 4.4829  0.0632
O -0.8770 -0.1247 4.1749  -0.0545
H 1.6452 2.3198 -3.4309  0.0805
H 2.5227 1.2789 -2.9664  0.0731
O 1.6531 1.6456 -2.7304  -0.0510

DFT (wB97M-V/def2-TZVPD) results for 3 unconnected molecules or ions with the total composition C2H11N2O2 in a non-equilibrium geometry.

Output
-- stop --
# The entry goes on

struct ConstructA {
    ConstructA(A &a):a(a) {
        if(!condition_met) {
            throw std::runtime_error("condition_met false");
    A &a;

2. The object is in a restricted state

That is exactly the case what you have when you have a file stream object, but which is not connected to a file. If in the constructor you find that the file mentioned doesn't exist, you can still fully construct the stream, but set it in a not-opened state. Some operations could be disallowed then and you can have a isOpen or isValid function that you can use to query the state of the object. This can be applied to other cases too. Some framework i used has a Color class. Default constructing a color class left it in a invalid state, so that it doesn't compare equal to any valid color:

Color c;
assert(c.isValid() == false);

The same technique is used for a null pointer. It's set to a defined, but restricted state when you assign NULL to it:

int *a = NULL;
assert(a == NULL);

You cannot dereference a null pointer for example.

Johannes Schaub - litb
In block 1, snippet 1: the construction takes place in the first line, not in ConstructA constructor (which only stores a reference and will not fail)In block 1, snippet 2: the contruction takes place in an implicit call to a0() in the initializer list.
David Rodríguez - dribeas
dribeas, as i said i don't understand the purpose of his class. he wanted to watch the construction of ConstructA, not the one of A. so i only watched that ones :)
Johannes Schaub - litb
I agree he should make it not a reference, as Josh points out. but then that wouldn't change everything. what could throw then is the copy constructor of A. and that one would throw from within ConstructA, of course.
Johannes Schaub - litb

You're ConstructA is just trying to hold on to a reference of an already constructed A, try changing it to this:

  class ConstructA {
       A a; // Don't make this a reference
       ConstructA (A& ta) : a(ta) {}


mkal, I always suggest people not to use exception in C++. It cause more problems that it tries to solve.

To answer your question, to avoid exception in C++, you probably can reduce the work you want to do in your constructor, and create an init() method instead, that returns the error-code if something goes wrong.

Basically, whatever you do in C++ Constructor, it has to succeed.

Hope that helps.

Using an init() method is much more error-prone. Its easy to forget to call init(), especially if you are dynamically creating lots of objects. Used correctly, exceptions are a much better option.
Maybe you should check the Google style-guide. It gives a better explanation than I do:http://google-styleguide.googlecode.com/svn/trunk/cppguide.xml#Exceptions